## Material
********
# Zr3Co6Si5
Calculated X-ray diffraction stick pattern, Cu Kα (weighted mean of Kα1 and Kα2). Input: a DFT-relaxed cell (PBE, Alexandria).

Atomic structure:
```
Zr3Co6Si5
1.0
3.792 0.000 0.000
0.000 11.597 0.000
0.000 0.000 8.538
Zr Co Si
6 12 10
Cartesian
0.948 0.669 2.074 Zr
0.948 5.130 2.074 Zr
0.948 8.698 2.159 Zr
2.844 2.899 6.379 Zr
2.844 6.468 6.463 Zr
2.844 10.928 6.463 Zr
0.948 0.752 5.009 Co
0.948 2.899 0.245 Co
0.948 2.899 3.443 Co
0.948 5.046 5.009 Co
0.948 6.826 8.436 Co
0.948 10.570 8.436 Co
2.844 1.027 0.102 Co
2.844 4.772 0.102 Co
2.844 6.551 3.528 Co
2.844 8.698 5.095 Co
2.844 8.698 8.293 Co
2.844 10.845 3.528 Co
0.948 1.095 7.344 Si
0.948 4.704 7.344 Si
0.948 7.303 4.534 Si
0.948 8.698 6.899 Si
0.948 10.093 4.534 Si
2.844 1.504 4.004 Si
2.844 2.899 1.638 Si
2.844 4.295 4.004 Si
2.844 6.893 1.194 Si
2.844 10.503 1.194 Si
```

Largest 10 diffraction maxima, low angle first, 10 to 80 degrees two-theta:
25.70 deg, intensity 20.3, (1 0 1); 39.31 deg, intensity 42.3, (0 3 3); 39.41 deg, intensity 100.0, (1 3 2); 39.59 deg, intensity 32.7, (1 0 3); 40.57 deg, intensity 14.6, (1 4 1); 42.67 deg, intensity 23.4, (1 2 3); 46.29 deg, intensity 16.3, (1 3 3); 47.01 deg, intensity 24.8, (0 6 0); 47.98 deg, intensity 39.4, (2 0 0); 63.70 deg, intensity 19.0, (2 3 3)

# MgCd4AgAu2
Calculated X-ray diffraction stick pattern, Cu Kα (weighted mean of Kα1 and Kα2). Input: a DFT-relaxed cell (PBE, Alexandria).

Atomic structure:
```
MgCd4AgAu2
1.0
4.120 0.000 0.000
0.000 4.120 0.000
0.000 0.000 10.713
Mg Cd Ag Au
1 4 1 2
Cartesian
0.000 0.000 0.000 Mg
0.000 2.060 3.340 Cd
0.000 2.060 7.373 Cd
2.060 0.000 3.340 Cd
2.060 0.000 7.373 Cd
0.000 0.000 5.357 Ag
2.060 2.060 1.319 Au
2.060 2.060 9.394 Au
```

Largest 10 diffraction maxima, low angle first, 10 to 80 degrees two-theta:
21.57 deg, intensity 25.4, (1 0 0); 23.13 deg, intensity 92.2, (1 0 1); 31.84 deg, intensity 41.9, (1 1 1); 35.07 deg, intensity 53.5, (1 1 2); 39.94 deg, intensity 100.0, (1 1 3); 40.16 deg, intensity 46.6, (1 0 4); 43.96 deg, intensity 61.8, (2 0 0); 61.05 deg, intensity 27.1, (2 1 4); 62.55 deg, intensity 28.0, (2 0 5); 78.09 deg, intensity 27.2, (3 1 3)

# Np3PbS6
Calculated X-ray diffraction stick pattern, Cu Kα (weighted mean of Kα1 and Kα2). Input: a DFT-relaxed cell (PBE, Alexandria).

Atomic structure:
```
Np3PbS6
1.0
11.034 0.000 0.000
0.000 4.099 0.000
-3.540 0.000 10.879
Np Pb S
6 2 12
Cartesian
-0.418 1.025 1.844 Np
0.235 3.075 5.639 Np
0.464 1.025 10.079 Np
7.031 3.075 0.800 Np
7.260 1.025 5.240 Np
7.913 3.075 9.035 Np
3.387 1.025 3.481 Pb
4.108 3.075 7.399 Pb
-1.056 1.025 4.489 S
-2.193 1.025 10.606 S
1.191 3.075 2.967 S
-0.104 3.075 8.435 S
2.159 1.025 6.075 S
4.347 3.075 0.991 S
3.148 1.025 9.889 S
5.336 3.075 4.804 S
7.598 1.025 2.444 S
6.304 1.025 7.912 S
9.688 3.075 0.273 S
8.551 3.075 6.390 S
```

Largest 10 diffraction maxima, low angle first, 10 to 80 degrees two-theta:
23.34 deg, intensity 100.0, (1 0 -3); 24.20 deg, intensity 81.7, (3 0 -1); 25.59 deg, intensity 69.4, (1 1 1); 27.00 deg, intensity 94.3, (2 0 2); 27.61 deg, intensity 54.9, (2 1 0); 30.33 deg, intensity 37.1, (2 1 1); 36.02 deg, intensity 40.2, (1 1 3); 44.19 deg, intensity 38.7, (0 2 0); 45.63 deg, intensity 39.5, (2 1 -5); 48.33 deg, intensity 35.5, (4 1 2)

~~~~~

No. 1
Computed powder diffractogram
Compound: Mg2GeCl6
Radiation: Cu Kα (weighted mean of Kα1 and Kα2)
Structure: the PBE geometry in Alexandria
No peak broadening, texture or thermal motion is included.

The 10 most intense peaks (2θ from 5° to 70°), most intense first:
Position (°2θ), d/Å, I_rel
13.30, 6.656, 100.0
30.50, 2.930, 98.6
38.64, 2.330, 66.1
48.30, 1.884, 32.0
49.69, 1.835, 30.6
50.33, 1.813, 16.9
63.49, 1.465, 13.0
20.61, 4.309, 12.6
58.21, 1.585, 12.3
31.19, 2.868, 8.4

Crystal structure
```
data_Mg2GeCl6
_chemical_formula_sum 'Mg2 Ge1 Cl6'
_cell_length_a 6.5276
_cell_length_b 6.5276
_cell_length_c 6.6560
_cell_angle_alpha 90.00
_cell_angle_beta 90.00
_cell_angle_gamma 120.00
********

## What to do
Next, work out how many lines above have the word "powder" in them; a number is enough.

## Here it is
1